Your job: set down only the lines below with the word "one" in them.

+++
Entry 1:
This record from OMol25 describes an isolated ion of composition C2Cl3O3S and charge -1 at a distorted geometry. The level of theory is wB97M-V/def2-TZVPD.

Computed properties:
* SMILES: O=S(=O)([O-])C(Cl)=C(Cl)Cl
* frontier orbital gap: 8.07 eV
* 2S+1: 1
* charge: -1
* LUMO: 3.05 eV

Each line ends with the Löwdin charge.
CARTESIAN COORDINATES (ANGSTROEM)
O  0.92074  -1.75172  0.04768  -0.390
S  0.97026  -0.45987  -0.61552  0.341
O  1.05608  -0.51427  -2.03541  -0.360
O  1.83116  0.50906  0.14597  -0.440
C  -0.64886  0.36257  -0.23699  -0.827
Cl  -1.69716  0.78302  -1.48375  0.649
C  -1.09188  0.51397  1.11304  -1.286
Cl  -2.60825  1.05232  1.60729  0.612
Cl  0.00339  -0.00432  2.26437  0.700

Entry 2:
This record from OMol25 describes C2Cl8 as an isolated structure at a distorted geometry. The level of theory is wB97M-V/def2-TZVPD.

Computed properties:
* frontier orbital gap: 11.30 eV
* 2S+1: 1
* charge: 0
* LUMO: 0.10 eV

Each line ends with the Löwdin charge.
CARTESIAN COORDINATES (ANGSTROEM)
C  -1.66806  3.23482  1.48705  -2.019
Cl  -1.39051  3.91239  3.08021  0.536
Cl  -1.73009  1.48244  1.68777  0.506
Cl  -3.21524  3.79624  0.70220  0.477
Cl  -0.34514  3.64217  0.36211  0.500
C  1.66984  -3.21905  -1.48484  -2.064
Cl  1.40772  -4.24157  -0.11136  0.530
Cl  1.79257  -4.11002  -3.04696  0.504
Cl  0.31011  -2.04487  -1.58324  0.494
Cl  3.16883  -2.45260  -1.09292  0.536

Entry 3:
This record from OMol25 describes a 2-piece molecular cluster, C2ClF3 overall at a distorted geometry. The level of theory is wB97M-V/def2-TZVPD.

Computed properties:
* frontier orbital gap (spin up / spin down): 8.50 / 6.56 eV
* 2S+1: 1
* charge: 0
* LUMO (spin up / spin down): -1.64 / -3.95 eV

Each line ends with the Löwdin charge.
CARTESIAN COORDINATES (ANGSTROEM)
C  -0.27370  0.35541  -0.24360  -0.429
C  -1.49409  0.13351  0.23604  0.102
F  0.19952  1.52696  -0.33300  0.171
F  0.55362  -0.61814  -0.73459  0.043
F  -2.22675  -0.96298  0.53051  0.050
Cl  3.24140  -0.43476  0.54465  0.063

Entry 4:
This record from OMol25 describes a 2-piece molecular cluster, C2ClF3O3S overall at a distorted geometry. The level of theory is wB97M-V/def2-TZVPD.

Computed properties:
* frontier orbital gap: 9.64 eV
* 2S+1: 1
* charge: 0
* LUMO: -1.59 eV

Each line ends with the Löwdin charge.
CARTESIAN COORDINATES (ANGSTROEM)
C  0.91103  -1.02644  -1.12344  -0.407
C  1.59664  -0.02745  -0.24187  -0.630
O  -1.69478  1.43794  0.74183  -0.463
O  -2.70201  -0.69276  0.59414  -0.487
O  0.73406  -1.18978  -2.27180  0.179
F  1.02000  1.14579  -0.53268  0.162
F  1.55202  -0.26898  1.05166  0.137
F  2.92340  0.13435  -0.58986  0.129
S  -2.86691  0.61242  1.14652  0.916
Cl  -0.11112  -2.24103  0.16955  0.465

* * * * *

# 1
Entry from the Open Molecules 2025 dataset: C5H5CeO3 as an isolated structure (ωB97M-V/def2-TZVPD).

The LUMO energy (alpha / beta) is -10.081 / -9.838 eV. As for the frontier orbital gap (alpha / beta): 0.25691 / 0.26589 hartree. Its expectation value of S² is 0.7524. Its spin multiplicity is 2. As for the charge: +2.

Structure (XYZ):
```
14
Properties=species:S:1:pos:R:3:lowdin_spin:R:1
O -1.122 1.970 -0.102 -0.018
C -1.551 0.737 -0.284 -0.002
O -1.859 0.032 0.915 -0.001
Ce 0.836 2.634 0.239 1.031
H -2.384 0.673 -1.006 -0.001
O 3.238 -0.102 0.561 -0.001
C 2.148 0.091 -0.108 -0.003
C 0.955 -0.069 -0.400 -0.003
C -0.407 -0.499 -0.608 -0.002
C -1.107 -1.149 0.594 0.000
H 4.030 0.091 0.038 0.000
H -0.545 -0.989 -1.578 0.000
H -1.768 -1.977 0.306 0.000
H -0.463 -1.443 1.434 0.000
```

---

# 2
Entry from the Open Molecules 2025 dataset: one molecule with the formula C5H5Cl (ωB97M-V/def2-TZVPD).

The LUMO energy is 0.901 eV. As for the frontier orbital gap: 0.39381 hartree. Its spin multiplicity is 1.

Structure (XYZ):
```
11
Properties=species:S:1:pos:R:3:nbo_charge:R:1
C -0.590 -0.144 -0.065 -0.137
C 0.044 0.976 -0.032 -0.225
C 1.503 1.123 0.017 -0.514
C 2.126 -0.181 -0.010 0.018
C 2.702 -1.225 -0.014 -0.245
H -0.240 -1.137 -0.239 0.224
+++

Entry from the Open Molecules 2025 dataset: one molecule with the formula C5H5Cl (ωB97M-V/def2-TZVPD).